Landmark celebrity TV interviews
Once, long ago, some of these newsmakers were considered almost as newsworthy as presidents by the networks -- maybe even more! (In hindsight, maybe not so much!)
Others were genuine legends -- although often fallen, or in the process of falling. Their household-name stature otherwise remains to this day.
But back in (mostly) the last century, each shared one term in common: They were "gets," or newsmakers so huge, so desirable, so notorious, or so flat-out newsy that TV networks just had to have them on their air. Forces were marshaled. Deals were made. Even bigger stars (Barbara You-Know-Who) went after them. A circus ensued.
Misplaced data records.
<<<
Diffraction record for Y3CoBr3. The powder diffraction line list is calculated, not measured: it uses a crystal structure in Alexandria, relaxed with GGA-PBE and λ = 1.5418 Å (Cu Kα).

Atomic structure:
Lattice parameters (Å, degrees): 8.5248 4.0059 11.7402 90.00 92.03 90.00
Space group P2_1/m (No. 11)
One atom of each set of equivalent atoms:
Y (0.1008, 0.2500, 0.3253) [2 per cell]
Y (0.1383, 0.2500, 0.8680) [2 per cell]
Y (0.2707, 0.7500, 0.1033) [2 per cell]
Co (0.0587, 0.2500, 0.0965) [2 per cell]
Br (0.1345, 0.2500, 0.6031) [2 per cell]
Br (0.3449, 0.7500, 0.3577) [2 per cell]
Br (0.4245, 0.7500, 0.8693) [2 per cell]

Top 10 peaks for 5 to 70 degrees two-theta, by angle:
- 7.53 deg, I 405, hkl 0 0 1
- 10.38 deg, I 388, hkl 1 0 0
- 30.48 deg, I 549, hkl 0 0 4
- 30.64 deg, I 1000, hkl 2 1 0
- 31.78 deg, I 144, hkl 2 1 1
- 38.91 deg, I 234, hkl 2 1 3
- 39.85 deg, I 147, hkl 3 0 3
- 43.20 deg, I 388, hkl 2 1 -4
- 45.27 deg, I 263, hkl 0 2 0
- 55.56 deg, I 193, hkl 0 2 4

=====

# 1
Computed X-ray powder pattern
Compound: PrBiB
Radiation: a wavelength of 1.5418 Å
Structure: a cell relaxed with GGA-PBE
Neutral-atom scattering factors, no anomalous dispersion.

The 8 most intense peaks (10° ≤ 2θ ≤ 80°), in order of falling intensity:
35.4°, I 1000, (1 1 -2)
24.5°, I 943, (1 1 0)
33.5°, I 875, (3 1 0)
31.9°, I 545, (4 0 0)
32.7°, I 466, (2 0 2)
45.3°, I 460, (3 1 2)
26.2°, I 441, (0 0 2)
38.6°, I 295, (4 0 -2)

Structural model:
```
data_PrBiB
_chemical_formula_sum 'Pr4 Bi4 B4'
_symmetry_space_group_name_H-M 'C 1 2/m 1'
_symmetry_Int_Tables_number 12
_cell_length_a 11.3214
_cell_length_b 3.8336
_cell_length_c 6.8626
_cell_angle_alpha 90.00
_cell_angle_beta 98.24
_cell_angle_gamma 90.00
loop_
_symmetry_equiv_pos_as_xyz
'x,y,z'
'-x,-y,-z'
'-x,y,-z'
'x,-y,z'
'x+1/2,y+1/2,z'
'-x+1/2,-y+1/2,-z'
'-x+1/2,y+1/2,-z'
'x+1/2,-y+1/2,z'
loop_
_atom_site_label
_atom_site_type_symbol
_atom_site_fract_x
_atom_site_fract_y
_atom_site_fract_z
Pr1 Pr 0.1312 0.0000 0.3288
Bi1 Bi 0.1455 0.0000 0.8094
B1 B 0.0630 0.5000 0.5804
```

=====

# 2
Computed X-ray powder pattern
Compound: BiBPt3
Radiation: a wavelength of 1.5418 Å
Structure: a cell relaxed with GGA-PBE
Neutral-atom scattering factors, no anomalous dispersion.

The 8 most intense peaks (10° ≤ 2θ ≤ 80°), in order of falling intensity:
31.4°, I 1000, (1 1 -1)
30.4°, I 833, (1 0 2)
38.5°, I 818, (1 -2 1)
41.8°, I 684, (1 0 3)
37.8°, I 563, (0 2 2)
30.0°, I 531, (0 2 1)
33.6°, I 469, (1 2 0)
28.3°, I 403, (1 -1 1)

Structural model:
```
data_BiBPt3
_chemical_formula_sum 'Bi2 B2 Pt6'
_symmetry_space_group_name_H-M 'P 1'
_symmetry_Int_Tables_number 1
_cell_length_a 4.2103
_cell_length_b 6.5473
_cell_length_c 6.7966
_cell_angle_alpha 84.39
_cell_angle_beta 74.51
_cell_angle_gamma 82.59
loop_
_symmetry_equiv_pos_as_xyz
'x,y,z'
loop_
_atom_site_label
_atom_site_type_symbol
_atom_site_fract_x
_atom_site_fract_y
_atom_site_fract_z
Bi1 Bi 0.0000 0.0000 0.0000
Bi2 Bi 0.3352 0.8022 0.4421
B1 B 0.3248 0.4087 0.1659
>>>
Back to the article.
And so did ratings.
The "get" phenomenon -- with all its nutty Barnumesque hype or occasional flimflammery -- was essentially a fixture of the old media world from the '80s and '90s, when giants (Walters) roamed, and battled other giants (Sawyer) to get the biggest . . . get.
But with Walters retired, Oprah off running her own network, and celebrity worship and hype spread across dozens -- indeed hundreds -- of channels, websites and social media portals, the era of the "get" has waned.
But there was a day when the "get" seemed to rule the network airwaves, and so -- in advance of the Jenner interview -- here's a partial list of some notable gets, in chronological order, from years past:
Sawyer got this "get" in 1990 with model-actress Marla Maples, who at the time was Donald Trump's paramour (they married three years later), and discovered that maybe it's not such a good idea to ask a question based on a New York Post headline ("Best Sex Ever"). Both a classically notorious "get," this encounter possibly represented the nadir and the pinnacle of the "get" craze. (After all, why was Maples important anyway?
On Feb. 10, 1993, Oprah Winfrey interviewed Michael Jackson live from his Neverland home, breaking a near-15-year media silence. Jackson talked about his difficult childhood, revealed that he had a skin disorder that destroyed the pigmentation of his skin, and asserted that he had undergone less plastic surgery than people assumed. The upshot: 90 million viewers. (Pictured is a shot from the "Living with Michael Jackson" interview he gave Martin Bashir 10 years later, in which the singer went on a $5.76 million shopping spree.)
Arguably the "gettiest" of gets after Jackson, this one with Princess Diana was delivered by the BBC's (later of ABC News and MSNBC) Martin Bashir, in November 1995. It was all so huge that outtakes rumbled forth on U.S. TV for months, as "Di" spoke of bulimia, marital "tensions," and postpartum depression.
The "get" that never was, NBC News quickly secured the first interview with O.J. Simpson after his 1995 acquittal in the criminal trial, then just as quickly lost it, when Simpson backed out. Katie Couric finally interviewed him for "Dateline" nine years later, in 2004.
Monica Lewinsky was hardly Walters' first get, but a get nonetheless heard around the world. Aired in March 1999. Anticipation helped stoke this one: Walters had to wait months for the interview, pending approval of Kenneth Starr and his Office of Independent Counsel, which kept the former White House intern away from the media. "What will you tell your children when you have them?" Barbara asked. Said Monica: "Mommy made a big mistake." Seventy million watched/cringed.
Everyone wanted Sarah Palin -- John McCain's running mate on the 2008 GOP ticket -- but Katie Couric got her, much to Palin's (and McCain's) regret. (Could she name the newspapers she reads or news outlets she watches? Short answer: No.)
Rare instance of a major "get" (Lance Armstrong) falling himself in more recent years -- this one on OWN in 2013, and which was to become a key turning point for the once-troubled network. Oprah handled Armstrong (who said he would "spend the rest of my life trying to earn back trust") herself.